• To do:
Find the line further below that holds "-0.01265", then restate that line and all lines after it there.
• File:
********
Molecular formula: C4H4N2O
Method: DFT, ωB97M-V/def2-TZVPD

For the molar mass, the calculation gives 96.089 g/mol. Its HOMO energy is -10.429 eV. The multiplicity is 1. Its SMILES is N#C/C=C\C(N)=O.

```
11
C4H4N2O (ωB97M-V/def2-TZVPD)
N -2.86080 -0.83967 -0.30065
C -1.90921 -0.10094 -0.30410
C -1.00428 1.04697 0.03819
C 0.41272 1.00619 -0.30283
C 1.36829 -0.17466 -0.21290
N 0.83581 -1.28068 -0.00227
O 2.59324 -0.07636 -0.30560
H -1.54263 2.04917 0.62545
H 0.96910 1.95770 0.00034
H 1.32455 -2.03733 0.41722
H -0.18680 -1.55039 0.34714
```

Molecular formula: C4H4N2O
Method: DFT, ωB97M-V/def2-TZVPD

For the molar mass, the calculation gives 96.089 g/mol. Its HOMO energy is -9.424 eV. The multiplicity is 1. Its SMILES is C1=COC=NN=C1.

```
11
C4H4N2O (ωB97M-V/def2-TZVPD)
C 0.71773 0.70880 1.12192
C 0.26561 1.44513 0.13004
O -0.73519 0.97229 -0.69326
C -0.24539 -0.09967 -1.40106
N -0.02883 -1.23643 -0.88115
N -0.24266 -1.44214 0.43552
C 0.22695 -0.65195 1.30090
H 1.32962 1.13755 1.93251
H 0.53008 2.49360 -0.03964
H -0.15786 -0.01971 -2.48055
H 0.29066 -1.05359 2.34237
```

Molecular formula: C4H4N2O
Method: DFT, ωB97M-V/def2-TZVPD

For the molar mass, the calculation gives 96.089 g/mol. Its HOMO energy is -9.391 eV. The multiplicity is 1. Its SMILES is N#CCOC=C=N.

```
11
C4H4N2O (ωB97M-V/def2-TZVPD)
N 1.63555 0.48982 -1.63608
C 0.95756 0.93971 -0.81400
C 0.06932 1.44231 0.26081
O -0.25452 0.44259 1.19755
C -0.95214 -0.59361 0.58597
C -0.36295 -1.74586 0.40954
N 0.33483 -2.67788 0.00666
H -0.84035 1.84079 -0.20782
H 0.57340 2.24506 0.80462
H -1.88899 -0.38879 0.08487
H 0.72829 -1.99413 -0.69212
```

Molecular formula: C4H4N2O
Method: DFT, ωB97M-V/def2-TZVPD

For the molar mass, the calculation gives 96.089 g/mol. Its HOMO energy is -9.874 eV. The multiplicity is 1.

```
11
C4H4N2O (ωB97M-V/def2-TZVPD)
O -0.60127 1.73704 2.16580
C -0.43822 0.95433 1.28171
C -1.29508 -0.17896 0.88260
C -0.99347 -0.99837 -0.15273
N 0.16845 -0.85385 -0.95435
C 0.68041 0.14042 -0.40601
N 0.77863 1.04646 0.39019
H -2.19238 -0.32484 1.46931
H -1.62581 -1.82998 -0.44370
H 2.98506 0.34629 -1.89283
H 2.53368 -0.03854 -2.34000
```

Molecular formula: C4H4N2O
Method: DFT, ωB97M-V/def2-TZVPD

For the molar mass, the calculation gives 96.089 g/mol. Its HOMO energy is -8.863 eV. The multiplicity is 1. Its SMILES is NC1=CC(=O)N=C1.

```
11
C4H4N2O (ωB97M-V/def2-TZVPD)
N -1.78888 -0.30863 -0.02732
C -0.46226 -0.07932 0.01215
C 0.60133 -0.88221 -0.02975
C 1.79724 -0.10579 -0.11705
O 2.87535 -0.49051 0.10821
N 1.42116 1.33560 -0.17160
C 0.13602 1.36194 0.10049
H -2.19288 -1.33722 -0.07728
H -2.57352 0.32058 0.04278
H 0.71830 -2.00620 -0.09658
H -0.53187 2.19176 0.25595
```

Molecular formula: C4H4N2O
Method: DFT, ωB97M-V/def2-TZVPD

For the molar mass, the calculation gives 96.089 g/mol. Its HOMO energy is -9.668 eV. The multiplicity is 1. Its SMILES is O=Cc1cnc[nH]1.

```
11
C4H4N2O (ωB97M-V/def2-TZVPD)
O -2.73352 -1.10442 -0.01265
C -1.99360 -0.15319 0.04380
C -0.46608 -0.11408 0.23479
C 0.12731 1.10279 0.00202
N 1.46475 1.07196 -0.21721
C 1.78965 -0.19099 -0.11343
N 0.75795 -1.02409 0.14527
H -2.45769 0.86700 -0.12670
H -0.39027 2.05421 -0.04168
H 2.82597 -0.51451 -0.22942
H 1.07552 -1.99468 0.31522
```

Molecular formula: C4H4N2O2
Method: DFT, ωB97M-V/def2-TZVPD

For the molar mass, the calculation gives 112.088 g/mol. Its HOMO energy is -9.152 eV. The multiplicity is 1. Its SMILES is [H]/N=C1N=C/C(=C/O)O/1.

```
12
C4H4N2O2 (ωB97M-V/def2-TZVPD)
H 2.27687 -2.17912 0.30071
N 2.51893 -1.17432 0.10280
C 1.45199 -0.50726 -0.12212
N 1.64613 0.98879 -0.10107
C 0.49374 1.53315 -0.07043
C -0.57298 0.61231 -0.09396
C -1.89040 0.30121 0.22142
O -2.40807 -0.99607 -0.11313
O -0.00708 -0.77046 -0.23330
H 0.31865 2.53205 -0.00481
H -2.41073 1.21469 0.16232
H -1.41705 -1.55497 -0.04843
```

Molecular formula: C4H4N2O2
Method: DFT, ωB97M-V/def2-TZVPD

For the molar mass, the calculation gives 112.088 g/mol. Its HOMO energy is -9.518 eV. The multiplicity is 1.

```
12
********
• Written answer:
O -2.73352 -1.10442 -0.01265
C -1.99360 -0.15319 0.04380
C -0.46608 -0.11408 0.23479
C 0.12731 1.10279 0.00202
N 1.46475 1.07196 -0.21721
C 1.78965 -0.19099 -0.11343
N 0.75795 -1.02409 0.14527
H -2.45769 0.86700 -0.12670
H -0.39027 2.05421 -0.04168
H 2.82597 -0.51451 -0.22942
H 1.07552 -1.99468 0.31522
```

Molecular formula: C4H4N2O2
Method: DFT, ωB97M-V/def2-TZVPD

For the molar mass, the calculation gives 112.088 g/mol. Its HOMO energy is -9.152 eV. The multiplicity is 1. Its SMILES is [H]/N=C1N=C/C(=C/O)O/1.

```
12
C4H4N2O2 (ωB97M-V/def2-TZVPD)
H 2.27687 -2.17912 0.30071
N 2.51893 -1.17432 0.10280
C 1.45199 -0.50726 -0.12212
N 1.64613 0.98879 -0.10107
C 0.49374 1.53315 -0.07043
C -0.57298 0.61231 -0.09396
C -1.89040 0.30121 0.22142
O -2.40807 -0.99607 -0.11313
O -0.00708 -0.77046 -0.23330
H 0.31865 2.53205 -0.00481
H -2.41073 1.21469 0.16232
H -1.41705 -1.55497 -0.04843
```

Molecular formula: C4H4N2O2
Method: DFT, ωB97M-V/def2-TZVPD

For the molar mass, the calculation gives 112.088 g/mol. Its HOMO energy is -9.518 eV. The multiplicity is 1.

```
12